## K3Ge5O12 (GGA-PBE)

Data for a relaxed structure of K3Ge5O12. Values from VASP.

Quantum ESPRESSO input file:
```
&SYSTEM
  ibrav = 0, nat = 80, ntyp = 3
/
ATOMIC_SPECIES
K 39.10 K.upf
Ge 72.64 Ge.upf
O 16.00 O.upf
CELL_PARAMETERS angstrom
-6.318 6.318 6.318
6.318 -6.318 6.318
6.318 6.318 -6.318
ATOMIC_POSITIONS crystal
K 0.125 0.250 0.375
K 0.125 0.375 0.750
K 0.250 0.375 0.125
K 0.250 0.875 0.625
K 0.375 0.125 0.250
K 0.375 0.750 0.125
K 0.625 0.250 0.875
K 0.625 0.875 0.750
K 0.750 0.125 0.375
K 0.750 0.625 0.875
K 0.875 0.625 0.250
K 0.875 0.750 0.625
Ge 0.000 0.000 0.000
Ge 0.000 0.000 0.500
Ge 0.000 0.500 0.000
Ge 0.000 0.500 0.500
Ge 0.125 0.750 0.875
Ge 0.125 0.875 0.250
Ge 0.250 0.125 0.875
Ge 0.250 0.625 0.375
Ge 0.375 0.250 0.625
Ge 0.375 0.625 0.750
Ge 0.500 0.000 0.000
Ge 0.500 0.000 0.500
Ge 0.500 0.500 0.000
Ge 0.500 0.500 0.500
Ge 0.625 0.375 0.250
Ge 0.625 0.750 0.375
Ge 0.750 0.375 0.625
Ge 0.750 0.875 0.125
Ge 0.875 0.125 0.750
Ge 0.875 0.250 0.125
O 0.002 0.185 0.104
O 0.002 0.316 0.898
O 0.082 0.685 0.684
O 0.082 0.896 0.398
O 0.102 0.604 0.418
O 0.102 0.998 0.684
O 0.104 0.002 0.185
O 0.104 0.602 0.918
O 0.184 0.185 0.582
O 0.184 0.498 0.602
O 0.185 0.104 0.002
O 0.185 0.582 0.184
O 0.315 0.316 0.918
O 0.315 0.498 0.396
O 0.316 0.898 0.002
O 0.316 0.918 0.315
O 0.396 0.315 0.498
O 0.396 0.582 0.898
O 0.398 0.082 0.896
O 0.398 0.816 0.502
O 0.418 0.102 0.604
O 0.418 0.816 0.815
O 0.498 0.396 0.315
O 0.498 0.602 0.184
O 0.502 0.398 0.816
O 0.502 0.604 0.685
O 0.582 0.184 0.185
O 0.582 0.898 0.396
O 0.602 0.184 0.498
O 0.602 0.918 0.104
O 0.604 0.418 0.102
O 0.604 0.685 0.502
O 0.684 0.082 0.685
O 0.684 0.102 0.998
O 0.685 0.502 0.604
O 0.685 0.684 0.082
O 0.815 0.418 0.816
O 0.815 0.896 0.998
O 0.816 0.502 0.398
O 0.816 0.815 0.418
O 0.896 0.398 0.082
O 0.896 0.998 0.815
O 0.898 0.002 0.316
O 0.898 0.396 0.582
O 0.918 0.104 0.602
O 0.918 0.315 0.316
O 0.998 0.684 0.102
O 0.998 0.815 0.896
```

Calculated values
* energy relative to the elements, uncorrected: -29.8 eV/f.u.
* space-group type: No. 230

=====

Record 1
# TbCuIr PBE relaxed
data_TbCuIr
_symmetry_space_group_name_H-M 'P 1'
_symmetry_Int_Tables_number 1
_symmetry_space_group_name_Hall 'P 1'
_cell_length_a 4.3017
_cell_length_b 4.3017
_cell_length_c 3.5598
_cell_angle_alpha 90.00
_cell_angle_beta 90.00
_cell_angle_gamma 120.00
loop_
_atom_site_label
_atom_site_type_symbol
_atom_site_fract_x
_atom_site_fract_y
_atom_site_fract_z
Tb1 Tb 0.0000 0.0000 0.0000
Cu1 Cu 0.3333 0.6667 0.5000
Ir1 Ir 0.6667 0.3333 0.5000
# Final energy   -6.30 eV/atom
# Offset from the most stable computed form   0.131 eV/atom
# Symmetry   No. 187
# D(E_F)   1.79 states/eV/cell
# Energy of formation   -1.3 eV per formula unit
# Magnetic moment   0.00 μB/cell
# Volume   57.0 Å³ per cell

***

Record 2
# SrSc3Al PBE relaxed
data_SrSc3Al
_symmetry_space_group_name_H-M 'P 1'
_symmetry_Int_Tables_number 1
_symmetry_space_group_name_Hall 'P 1'
_cell_length_a 5.1567
_cell_length_b 5.1567
_cell_length_c 5.1567
_cell_angle_alpha 90.00
_cell_angle_beta 90.00
_cell_angle_gamma 90.00
loop_
_atom_site_label
_atom_site_type_symbol
_atom_site_fract_x
_atom_site_fract_y
_atom_site_fract_z
Sr1 Sr 0.0000 0.0000 0.0000
Sc1 Sc 0.0000 0.0000 0.5000
Sc2 Sc 0.0000 0.5000 0.0000
Sc3 Sc 0.5000 0.0000 0.0000
Al1 Al 0.5000 0.5000 0.5000
# Final energy   -3.53 eV/atom
# Offset from the most stable computed form   1.073 eV/atom
# Symmetry   No. 221
# D(E_F)   4.76 states/eV/cell
# Energy of formation   6.8 eV per formula unit
# Magnetic moment   0.00 μB/cell
# Volume   137.1 Å³ per cell

***

Record 3
# CuReP3 PBE relaxed
data_CuReP3
_symmetry_space_group_name_H-M 'P 1'
_symmetry_Int_Tables_number 1
_symmetry_space_group_name_Hall 'P 1'
_cell_length_a 4.6306
_cell_length_b 4.6306
_cell_length_c 4.6306
_cell_angle_alpha 90.00
_cell_angle_beta 90.00
_cell_angle_gamma 90.00
loop_
_atom_site_label
_atom_site_type_symbol
_atom_site_fract_x
_atom_site_fract_y
_atom_site_fract_z
Cu1 Cu 0.0000 0.0000 0.0000

Transcribe all of the calculation results further up character by character.

## K3Ge5O12 (GGA-PBE)

Data for a relaxed structure of K3Ge5O12. Values from VASP.

Quantum ESPRESSO input file:
```
&SYSTEM
  ibrav = 0, nat = 80, ntyp = 3
/
ATOMIC_SPECIES
K 39.10 K.upf
Ge 72.64 Ge.upf
O 16.00 O.upf
CELL_PARAMETERS angstrom
-6.318 6.318 6.318
6.318 -6.318 6.318
6.318 6.318 -6.318
ATOMIC_POSITIONS crystal
K 0.125 0.250 0.375
K 0.125 0.375 0.750
K 0.250 0.375 0.125
K 0.250 0.875 0.625
K 0.375 0.125 0.250
K 0.375 0.750 0.125
K 0.625 0.250 0.875
K 0.625 0.875 0.750
K 0.750 0.125 0.375
K 0.750 0.625 0.875
K 0.875 0.625 0.250
K 0.875 0.750 0.625
Ge 0.000 0.000 0.000
Ge 0.000 0.000 0.500
Ge 0.000 0.500 0.000
Ge 0.000 0.500 0.500
Ge 0.125 0.750 0.875
Ge 0.125 0.875 0.250
Ge 0.250 0.125 0.875
Ge 0.250 0.625 0.375
Ge 0.375 0.250 0.625
Ge 0.375 0.625 0.750
Ge 0.500 0.000 0.000
Ge 0.500 0.000 0.500
Ge 0.500 0.500 0.000
Ge 0.500 0.500 0.500
Ge 0.625 0.375 0.250
Ge 0.625 0.750 0.375
Ge 0.750 0.375 0.625
Ge 0.750 0.875 0.125
Ge 0.875 0.125 0.750
Ge 0.875 0.250 0.125
O 0.002 0.185 0.104
O 0.002 0.316 0.898
O 0.082 0.685 0.684
O 0.082 0.896 0.398
O 0.102 0.604 0.418
O 0.102 0.998 0.684
O 0.104 0.002 0.185
O 0.104 0.602 0.918
O 0.184 0.185 0.582
O 0.184 0.498 0.602
O 0.185 0.104 0.002
O 0.185 0.582 0.184
O 0.315 0.316 0.918
O 0.315 0.498 0.396
O 0.316 0.898 0.002
O 0.316 0.918 0.315
O 0.396 0.315 0.498
O 0.396 0.582 0.898
O 0.398 0.082 0.896
O 0.398 0.816 0.502
O 0.418 0.102 0.604
O 0.418 0.816 0.815
O 0.498 0.396 0.315
O 0.498 0.602 0.184
O 0.502 0.398 0.816
O 0.502 0.604 0.685
O 0.582 0.184 0.185
O 0.582 0.898 0.396
O 0.602 0.184 0.498
O 0.602 0.918 0.104
O 0.604 0.418 0.102
O 0.604 0.685 0.502
O 0.684 0.082 0.685
O 0.684 0.102 0.998
O 0.685 0.502 0.604
O 0.685 0.684 0.082
O 0.815 0.418 0.816
O 0.815 0.896 0.998
O 0.816 0.502 0.398
O 0.816 0.815 0.418
O 0.896 0.398 0.082
O 0.896 0.998 0.815
O 0.898 0.002 0.316
O 0.898 0.396 0.582
O 0.918 0.104 0.602
O 0.918 0.315 0.316
O 0.998 0.684 0.102
O 0.998 0.815 0.896
```

Calculated values
* energy relative to the elements, uncorrected: -29.8 eV/f.u.
* space-group type: No. 230

=====

Record 1
# TbCuIr PBE relaxed
data_TbCuIr
_symmetry_space_group_name_H-M 'P 1'
_symmetry_Int_Tables_number 1
_symmetry_space_group_name_Hall 'P 1'
_cell_length_a 4.3017
_cell_length_b 4.3017
_cell_length_c 3.5598
_cell_angle_alpha 90.00
_cell_angle_beta 90.00
_cell_angle_gamma 120.00
loop_
_atom_site_label
_atom_site_type_symbol
_atom_site_fract_x
_atom_site_fract_y
_atom_site_fract_z
Tb1 Tb 0.0000 0.0000 0.0000
Cu1 Cu 0.3333 0.6667 0.5000
Ir1 Ir 0.6667 0.3333 0.5000
# Final energy   -6.30 eV/atom
# Offset from the most stable computed form   0.131 eV/atom
# Symmetry   No. 187
# D(E_F)   1.79 states/eV/cell
# Energy of formation   -1.3 eV per formula unit
# Magnetic moment   0.00 μB/cell
# Volume   57.0 Å³ per cell

***

Record 2
# SrSc3Al PBE relaxed
data_SrSc3Al
_symmetry_space_group_name_H-M 'P 1'
_symmetry_Int_Tables_number 1
_symmetry_space_group_name_Hall 'P 1'
_cell_length_a 5.1567
_cell_length_b 5.1567
_cell_length_c 5.1567
_cell_angle_alpha 90.00
_cell_angle_beta 90.00
_cell_angle_gamma 90.00
loop_
_atom_site_label
_atom_site_type_symbol
_atom_site_fract_x
_atom_site_fract_y
_atom_site_fract_z
Sr1 Sr 0.0000 0.0000 0.0000
Sc1 Sc 0.0000 0.0000 0.5000
Sc2 Sc 0.0000 0.5000 0.0000
Sc3 Sc 0.5000 0.0000 0.0000
Al1 Al 0.5000 0.5000 0.5000
# Final energy   -3.53 eV/atom
# Offset from the most stable computed form   1.073 eV/atom
# Symmetry   No. 221
# D(E_F)   4.76 states/eV/cell
# Energy of formation   6.8 eV per formula unit
# Magnetic moment   0.00 μB/cell
# Volume   137.1 Å³ per cell

***

Record 3
# CuReP3 PBE relaxed
data_CuReP3
_symmetry_space_group_name_H-M 'P 1'
_symmetry_Int_Tables_number 1
_symmetry_space_group_name_Hall 'P 1'
_cell_length_a 4.6306
_cell_length_b 4.6306
_cell_length_c 4.6306
_cell_angle_alpha 90.00
_cell_angle_beta 90.00
_cell_angle_gamma 90.00
loop_
_atom_site_label
_atom_site_type_symbol
_atom_site_fract_x
_atom_site_fract_y
_atom_site_fract_z
Cu1 Cu 0.0000 0.0000 0.0000